-- Data --
........
106
Properties=species:S:1:pos:R:3:forces:R:3:mulliken_charge:R:1 method="wB97M-V/def2-TZVPD" total_charge=+2 homo_ev="-12.51 / -12.50" homo_lumo_gap_ha="0.0825 / 0.0727"
W -0.8213 0.0480 -1.7004 -4.216 1.546 6.206 1.46
C 3.3181 -2.7493 4.1799 -0.042 1.750 -0.753 -1.69
C 2.1104 -3.5689 3.7449 1.335 -1.556 1.899 1.50
C 1.2230 -3.7582 5.0320 -0.075 0.058 0.085 -1.58
C 2.7859 -4.9402 3.3695 -0.879 -0.005 0.533 -1.59
C 1.3401 -2.9770 2.6167 -0.921 -0.979 -0.476 -0.10
C 1.8869 -2.0828 1.7248 -0.618 1.718 -0.227 -0.84
C 0.9745 -1.3160 0.9276 1.112 -2.802 0.531 0.99
Se 1.6713 0.0082 -0.2290 -1.695 0.324 0.354 0.12
C 1.0149 1.4899 0.8330 -0.371 0.027 -0.179 0.16
C 1.6860 1.8611 1.9765 -0.282 -0.654 -1.319 -0.35
C 1.2066 2.9196 2.6938 -0.133 0.631 1.049 -0.61
C 0.0593 3.5877 2.2706 -0.246 0.631 1.079 -0.23
C -0.6118 3.3193 1.0795 0.860 -0.757 0.774 -0.52
C -0.1546 2.1431 0.4094 0.301 1.677 0.225 1.04
O -0.7215 1.7986 -0.7461 0.174 -2.941 -2.201 -0.82
C -1.7041 4.3139 0.7228 -0.214 0.149 -1.300 2.07
C -2.8514 4.1593 1.7534 0.232 1.187 0.159 -1.56
C -1.0499 5.7404 0.5761 -0.712 -0.604 0.605 -1.43
C -2.3547 3.9668 -0.6212 -0.270 -0.575 -0.342 -1.83
C 1.9535 3.2579 3.9568 0.079 1.121 1.461 1.65
C 1.4516 4.5399 4.6818 0.114 -0.299 0.272 -1.88
C 1.8573 2.1405 5.0243 -0.004 0.466 -0.753 -1.72
C 3.4575 3.5249 3.7524 -0.079 -2.027 0.036 -1.75
C -0.3542 -1.7417 0.7781 1.341 -1.462 1.670 0.19
O -1.1118 -1.0067 0.0261 -1.227 2.548 -4.710 -1.13
C -0.8548 -2.9244 1.4498 0.424 0.701 0.127 -0.61
C 0.0130 -3.4568 2.3898 0.538 0.570 0.155 -0.29
C -2.2170 -3.6110 1.1500 0.773 0.144 -1.124 2.58
C -1.9486 -4.4420 -0.1452 0.221 -0.418 0.171 -1.37
C -2.6211 -4.5762 2.2636 -0.550 -0.053 0.825 -2.08
C -3.2994 -2.5459 0.8581 0.302 0.447 0.285 -1.60
H 3.7798 -3.1304 5.0924 -0.083 -0.048 -0.224 0.47
H 3.0475 -1.6763 4.3371 0.175 -0.651 0.086 0.22
H 4.0469 -2.7601 3.3524 0.092 0.024 0.495 0.37
H 1.8405 -4.0396 5.9290 -0.503 -0.007 -1.060 0.40
H 0.3949 -4.4828 4.8990 0.651 0.157 0.147 0.35
H 0.7313 -2.8117 5.3103 0.215 -0.124 -0.216 0.39
H 3.4487 -5.2698 4.1924 -0.498 0.119 -0.304 0.44
H 3.4087 -4.8754 2.4816 -0.078 0.177 -0.212 0.37
H 2.0007 -5.6849 3.2126 0.231 -0.167 -0.066 0.33
H 2.9567 -1.8292 1.7349 -0.603 -0.046 0.133 0.43
H 2.5291 1.2972 2.3056 0.568 -0.188 0.175 0.54
H -0.3798 4.3577 2.9661 0.750 -0.700 -1.063 0.36
H -2.5839 4.5411 2.7488 -0.108 -0.154 -0.239 0.32
H -2.9935 3.1075 1.7991 -0.438 -0.992 0.431 0.46
H -3.8287 4.6061 1.4589 0.904 -0.032 -0.037 0.41
H -0.4784 6.0264 1.4805 -0.216 -0.130 -0.577 0.29
H -1.9062 6.4285 0.4969 0.506 0.061 -0.265 0.43
H -0.4006 5.7685 -0.3261 -0.460 0.105 0.639 0.32
H -2.6999 2.9301 -0.6155 -0.380 0.155 0.255 0.23
H -1.6916 3.9723 -1.4838 0.264 0.474 0.024 0.35
H -3.2199 4.6027 -0.8188 0.170 0.100 0.020 0.49
H 0.4360 4.3709 5.0681 0.121 0.359 -0.195 0.42
H 1.5177 5.4626 4.0650 -0.113 -0.588 0.413 0.32
H 2.1106 4.6310 5.5812 -0.627 0.324 -0.758 0.50
H 0.8521 1.8403 5.2799 -0.393 -0.088 -0.156 0.36
H 2.2919 2.5763 5.8990 0.366 -0.075 0.750 0.52
H 2.4506 1.2909 4.7325 0.128 -0.543 -0.066 0.40
H 3.6453 4.2224 2.9916 0.125 1.422 -0.874 0.45
H 3.9777 2.6118 3.3845 -0.155 0.365 0.565 0.30
H 3.8753 3.8497 4.7105 0.160 -0.140 -0.361 0.46
H -0.3332 -4.2766 3.0208 0.148 0.299 -0.324 0.23
H -1.3414 -5.3492 0.0741 -0.061 0.772 -0.094 0.29
H -1.4484 -3.8202 -0.9038 -0.127 -0.264 0.159 0.16
H -2.8652 -4.8441 -0.5805 -0.226 0.248 0.079 0.45
H -1.9792 -5.4551 2.3928 0.148 0.242 -0.385 0.33
H -3.6297 -4.9959 2.0953 0.366 0.394 -0.080 0.42
H -2.6252 -4.0871 3.2534 -0.202 -0.005 -0.374 0.45
H -3.2006 -2.0690 -0.1256 0.213 -0.272 0.266 0.06
H -3.2284 -1.7319 1.6039 -0.278 -0.379 -0.251 0.38
H -4.2932 -2.9728 0.8741 -0.228 -0.251 0.256 0.47
N -4.9085 -0.6809 -4.1510 -1.371 1.505 0.488 -0.22
C -3.4670 -0.2928 -4.3202 1.131 -1.184 0.899 0.73
C -3.0765 0.1326 -5.7690 0.339 -0.990 0.821 -1.27
P -3.0462 1.0505 -2.9015 -5.099 1.186 -0.030 -0.81
O 1.9984 3.0399 -6.9367 -1.085 -3.818 1.497 -0.49
O -3.0215 0.2715 -1.5033 2.425 -0.413 -1.525 -0.37
........
-- Exercise --
Please restate the whole of the lines further up exactly.
-- Worked solution --
106
Properties=species:S:1:pos:R:3:forces:R:3:mulliken_charge:R:1 method="wB97M-V/def2-TZVPD" total_charge=+2 homo_ev="-12.51 / -12.50" homo_lumo_gap_ha="0.0825 / 0.0727"
W -0.8213 0.0480 -1.7004 -4.216 1.546 6.206 1.46
C 3.3181 -2.7493 4.1799 -0.042 1.750 -0.753 -1.69
C 2.1104 -3.5689 3.7449 1.335 -1.556 1.899 1.50
C 1.2230 -3.7582 5.0320 -0.075 0.058 0.085 -1.58
C 2.7859 -4.9402 3.3695 -0.879 -0.005 0.533 -1.59
C 1.3401 -2.9770 2.6167 -0.921 -0.979 -0.476 -0.10
C 1.8869 -2.0828 1.7248 -0.618 1.718 -0.227 -0.84
C 0.9745 -1.3160 0.9276 1.112 -2.802 0.531 0.99
Se 1.6713 0.0082 -0.2290 -1.695 0.324 0.354 0.12
C 1.0149 1.4899 0.8330 -0.371 0.027 -0.179 0.16
C 1.6860 1.8611 1.9765 -0.282 -0.654 -1.319 -0.35
C 1.2066 2.9196 2.6938 -0.133 0.631 1.049 -0.61
C 0.0593 3.5877 2.2706 -0.246 0.631 1.079 -0.23
C -0.6118 3.3193 1.0795 0.860 -0.757 0.774 -0.52
C -0.1546 2.1431 0.4094 0.301 1.677 0.225 1.04
O -0.7215 1.7986 -0.7461 0.174 -2.941 -2.201 -0.82
C -1.7041 4.3139 0.7228 -0.214 0.149 -1.300 2.07
C -2.8514 4.1593 1.7534 0.232 1.187 0.159 -1.56
C -1.0499 5.7404 0.5761 -0.712 -0.604 0.605 -1.43
C -2.3547 3.9668 -0.6212 -0.270 -0.575 -0.342 -1.83
C 1.9535 3.2579 3.9568 0.079 1.121 1.461 1.65
C 1.4516 4.5399 4.6818 0.114 -0.299 0.272 -1.88
C 1.8573 2.1405 5.0243 -0.004 0.466 -0.753 -1.72
C 3.4575 3.5249 3.7524 -0.079 -2.027 0.036 -1.75
C -0.3542 -1.7417 0.7781 1.341 -1.462 1.670 0.19
O -1.1118 -1.0067 0.0261 -1.227 2.548 -4.710 -1.13
C -0.8548 -2.9244 1.4498 0.424 0.701 0.127 -0.61
C 0.0130 -3.4568 2.3898 0.538 0.570 0.155 -0.29
C -2.2170 -3.6110 1.1500 0.773 0.144 -1.124 2.58
C -1.9486 -4.4420 -0.1452 0.221 -0.418 0.171 -1.37
C -2.6211 -4.5762 2.2636 -0.550 -0.053 0.825 -2.08
C -3.2994 -2.5459 0.8581 0.302 0.447 0.285 -1.60
H 3.7798 -3.1304 5.0924 -0.083 -0.048 -0.224 0.47
H 3.0475 -1.6763 4.3371 0.175 -0.651 0.086 0.22
H 4.0469 -2.7601 3.3524 0.092 0.024 0.495 0.37
H 1.8405 -4.0396 5.9290 -0.503 -0.007 -1.060 0.40
H 0.3949 -4.4828 4.8990 0.651 0.157 0.147 0.35
H 0.7313 -2.8117 5.3103 0.215 -0.124 -0.216 0.39
H 3.4487 -5.2698 4.1924 -0.498 0.119 -0.304 0.44
H 3.4087 -4.8754 2.4816 -0.078 0.177 -0.212 0.37
H 2.0007 -5.6849 3.2126 0.231 -0.167 -0.066 0.33
H 2.9567 -1.8292 1.7349 -0.603 -0.046 0.133 0.43
H 2.5291 1.2972 2.3056 0.568 -0.188 0.175 0.54
H -0.3798 4.3577 2.9661 0.750 -0.700 -1.063 0.36
H -2.5839 4.5411 2.7488 -0.108 -0.154 -0.239 0.32
H -2.9935 3.1075 1.7991 -0.438 -0.992 0.431 0.46
H -3.8287 4.6061 1.4589 0.904 -0.032 -0.037 0.41
H -0.4784 6.0264 1.4805 -0.216 -0.130 -0.577 0.29
H -1.9062 6.4285 0.4969 0.506 0.061 -0.265 0.43
H -0.4006 5.7685 -0.3261 -0.460 0.105 0.639 0.32
H -2.6999 2.9301 -0.6155 -0.380 0.155 0.255 0.23
H -1.6916 3.9723 -1.4838 0.264 0.474 0.024 0.35
H -3.2199 4.6027 -0.8188 0.170 0.100 0.020 0.49
H 0.4360 4.3709 5.0681 0.121 0.359 -0.195 0.42
H 1.5177 5.4626 4.0650 -0.113 -0.588 0.413 0.32
H 2.1106 4.6310 5.5812 -0.627 0.324 -0.758 0.50
H 0.8521 1.8403 5.2799 -0.393 -0.088 -0.156 0.36
H 2.2919 2.5763 5.8990 0.366 -0.075 0.750 0.52
H 2.4506 1.2909 4.7325 0.128 -0.543 -0.066 0.40
H 3.6453 4.2224 2.9916 0.125 1.422 -0.874 0.45
H 3.9777 2.6118 3.3845 -0.155 0.365 0.565 0.30
H 3.8753 3.8497 4.7105 0.160 -0.140 -0.361 0.46
H -0.3332 -4.2766 3.0208 0.148 0.299 -0.324 0.23
H -1.3414 -5.3492 0.0741 -0.061 0.772 -0.094 0.29
H -1.4484 -3.8202 -0.9038 -0.127 -0.264 0.159 0.16
H -2.8652 -4.8441 -0.5805 -0.226 0.248 0.079 0.45
H -1.9792 -5.4551 2.3928 0.148 0.242 -0.385 0.33
H -3.6297 -4.9959 2.0953 0.366 0.394 -0.080 0.42
H -2.6252 -4.0871 3.2534 -0.202 -0.005 -0.374 0.45
H -3.2006 -2.0690 -0.1256 0.213 -0.272 0.266 0.06
H -3.2284 -1.7319 1.6039 -0.278 -0.379 -0.251 0.38
H -4.2932 -2.9728 0.8741 -0.228 -0.251 0.256 0.47
N -4.9085 -0.6809 -4.1510 -1.371 1.505 0.488 -0.22
C -3.4670 -0.2928 -4.3202 1.131 -1.184 0.899 0.73
C -3.0765 0.1326 -5.7690 0.339 -0.990 0.821 -1.27
P -3.0462 1.0505 -2.9015 -5.099 1.186 -0.030 -0.81
O 1.9984 3.0399 -6.9367 -1.085 -3.818 1.497 -0.49
O -3.0215 0.2715 -1.5033 2.425 -0.413 -1.525 -0.37